_What to do_
Next, echo everything below exactly.

_Listing_
┌──
This record from the Materials Project describes a relaxed CuH5Pb4SO11 crystal. The functional is PBE.

a b c (Å): 14.2186 11.7352 14.7547
angles (deg): 90.00 100.09 90.00
Fractional positions:
Cu (0.0054, 0.2467, 0.0207)
Cu (0.0054, 0.2533, 0.5207)
Cu (0.2619, 0.0064, 0.7923)
Cu (0.2619, 0.4936, 0.2923)
Cu (0.7381, 0.5064, 0.7077)
Cu (0.7381, 0.9936, 0.2077)
Cu (0.9946, 0.7467, 0.4793)
Cu (0.9946, 0.7533, 0.9793)
H (0.0375, 0.6716, 0.3413)
H (0.0375, 0.8284, 0.8413)
H (0.0514, 0.6774, 0.6333)
H (0.0514, 0.8226, 0.1333)
H (0.0517, 0.1813, 0.6716)
H (0.0517, 0.3187, 0.1716)
H (0.0540, 0.1754, 0.3840)
H (0.0540, 0.3246, 0.8840)
H (0.1056, 0.0778, 0.8111)
H (0.1056, 0.4222, 0.3111)
H (0.1066, 0.5700, 0.2221)
H (0.1066, 0.9300, 0.7221)
H (0.3839, 0.5089, 0.7597)
H (0.3839, 0.9911, 0.2597)
H (0.4074, 0.5904, 0.2841)
H (0.4074, 0.9096, 0.7841)
H (0.4113, 0.0913, 0.8546)
H (0.4113, 0.4087, 0.3546)
H (0.4678, 0.7357, 0.6046)
H (0.4678, 0.7643, 0.1046)
H (0.5322, 0.2357, 0.8954)
H (0.5322, 0.2643, 0.3954)
H (0.5887, 0.5913, 0.6454)
H (0.5887, 0.9087, 0.1454)
H (0.5926, 0.0904, 0.2159)
H (0.5926, 0.4096, 0.7159)
H (0.6161, 0.0089, 0.7403)
H (0.6161, 0.4911, 0.2403)
H (0.8934, 0.0700, 0.2779)
H (0.8934, 0.4300, 0.7779)
H (0.8944, 0.5778, 0.6889)
H (0.8944, 0.9222, 0.1889)
H (0.9460, 0.6754, 0.1160)
H (0.9460, 0.8246, 0.6160)
H (0.9483, 0.6813, 0.8284)
H (0.9483, 0.8187, 0.3284)
H (0.9486, 0.1774, 0.8667)
H (0.9486, 0.3226, 0.3667)
H (0.9625, 0.1716, 0.1587)
H (0.9625, 0.3284, 0.6587)
Pb (0.1344, 0.0091, 0.0061)
Pb (0.1344, 0.4909, 0.5061)
Pb (0.1371, 0.0009, 0.5423)
Pb (0.1371, 0.4991, 0.0423)
Pb (0.2458, 0.7475, 0.9071)
Pb (0.2458, 0.7525, 0.4071)
Pb (0.2651, 0.2324, 0.4337)
Pb (0.2651, 0.2676, 0.9337)
Pb (0.2708, 0.7217, 0.6545)
Pb (0.2708, 0.7783, 0.1545)
Pb (0.2803, 0.2231, 0.1801)
Pb (0.2803, 0.2769, 0.6801)
Pb (0.3916, 0.5224, 0.0820)
Pb (0.3916, 0.9776, 0.5820)
Pb (0.4000, 0.5055, 0.5651)
Pb (0.4000, 0.9945, 0.0651)
Pb (0.6000, 0.0055, 0.9349)
Pb (0.6000, 0.4945, 0.4349)
Pb (0.6084, 0.0224, 0.4180)
Pb (0.6084, 0.4776, 0.9180)
Pb (0.7197, 0.7231, 0.3199)
Pb (0.7197, 0.7769, 0.8199)
Pb (0.7292, 0.2217, 0.8455)
Pb (0.7292, 0.2783, 0.3455)
Pb (0.7349, 0.7324, 0.0663)
Pb (0.7349, 0.7676, 0.5663)
Pb (0.7542, 0.2475, 0.5929)
Pb (0.7542, 0.2525, 0.0929)
Pb (0.8629, 0.5009, 0.9577)
Pb (0.8629, 0.9991, 0.4577)
Pb (0.8656, 0.5091, 0.4939)
Pb (0.8656, 0.9909, 0.9939)
S (0.0812, 0.5032, 0.7647)
S (0.0812, 0.9968, 0.2647)
S (0.4881, 0.7179, 0.9149)
S (0.4881, 0.7821, 0.4149)
S (0.5119, 0.2179, 0.5851)
S (0.5119, 0.2821, 0.0851)
S (0.9188, 0.0032, 0.7353)
S (0.9188, 0.4968, 0.2353)
O (0.0174, 0.0974, 0.2772)
O (0.0174, 0.4026, 0.7772)
O (0.0177, 0.6051, 0.7353)
O (0.0177, 0.8949, 0.2353)
O (0.0743, 0.6872, 0.4035)
O (0.0743, 0.8128, 0.9035)
O (0.0825, 0.6979, 0.5802)
O (0.0825, 0.8021, 0.0802)
O (0.0882, 0.1996, 0.4457)
O (0.0882, 0.3004, 0.9457)
O (0.0892, 0.1963, 0.6223)
O (0.0892, 0.3037, 0.1223)
O (0.1379, 0.0246, 0.1923)
O (0.1379, 0.4754, 0.6923)
O (0.1449, 0.5287, 0.8538)
O (0.1449, 0.9713, 0.3538)
O (0.1694, 0.0708, 0.8512)
O (0.1694, 0.4292, 0.3512)
O (0.1712, 0.5648, 0.2050)
O (0.1712, 0.9352, 0.7050)
O (0.2588, 0.6086, 0.5190)
O (0.2588, 0.8914, 0.0190)
O (0.2624, 0.1392, 0.0453)
O (0.2624, 0.3608, 0.5453)
O (0.2615, 0.6436, 0.0375)
O (0.2615, 0.8564, 0.5375)
O (0.2710, 0.1048, 0.5635)
O (0.2710, 0.3952, 0.0635)
O (0.3516, 0.0307, 0.2044)
O (0.3516, 0.4693, 0.7044)
O (0.3527, 0.0772, 0.8794)
O (0.3527, 0.4228, 0.3794)
O (0.3574, 0.5590, 0.2359)
O (0.3574, 0.9410, 0.7359)
O (0.4176, 0.6216, 0.8971)
O (0.4176, 0.8784, 0.3971)
O (0.4334, 0.6726, 0.4117)
O (0.4334, 0.8274, 0.9117)
O (0.4337, 0.6859, 0.6421)
O (0.4337, 0.8141, 0.1421)
O (0.4488, 0.2184, 0.6556)
O (0.4488, 0.2816, 0.1556)
O (0.4524, 0.2012, 0.4906)
O (0.4524, 0.2988, 0.9906)
O (0.5476, 0.7012, 0.0094)
O (0.5476, 0.7988, 0.5094)
O (0.5512, 0.7184, 0.8444)
O (0.5512, 0.7816, 0.3444)
O (0.5663, 0.1859, 0.8579)
O (0.5663, 0.3141, 0.3579)
O (0.5666, 0.1726, 0.0883)
└──

_Reply_
This record from the Materials Project describes a relaxed CuH5Pb4SO11 crystal. The functional is PBE.

a b c (Å): 14.2186 11.7352 14.7547
angles (deg): 90.00 100.09 90.00
Fractional positions:
Cu (0.0054, 0.2467, 0.0207)
Cu (0.0054, 0.2533, 0.5207)
Cu (0.2619, 0.0064, 0.7923)
Cu (0.2619, 0.4936, 0.2923)
Cu (0.7381, 0.5064, 0.7077)
Cu (0.7381, 0.9936, 0.2077)
Cu (0.9946, 0.7467, 0.4793)
Cu (0.9946, 0.7533, 0.9793)
H (0.0375, 0.6716, 0.3413)
H (0.0375, 0.8284, 0.8413)
H (0.0514, 0.6774, 0.6333)
H (0.0514, 0.8226, 0.1333)
H (0.0517, 0.1813, 0.6716)
H (0.0517, 0.3187, 0.1716)
H (0.0540, 0.1754, 0.3840)
H (0.0540, 0.3246, 0.8840)
H (0.1056, 0.0778, 0.8111)
H (0.1056, 0.4222, 0.3111)
H (0.1066, 0.5700, 0.2221)
H (0.1066, 0.9300, 0.7221)
H (0.3839, 0.5089, 0.7597)
H (0.3839, 0.9911, 0.2597)
H (0.4074, 0.5904, 0.2841)
H (0.4074, 0.9096, 0.7841)
H (0.4113, 0.0913, 0.8546)
H (0.4113, 0.4087, 0.3546)
H (0.4678, 0.7357, 0.6046)
H (0.4678, 0.7643, 0.1046)
H (0.5322, 0.2357, 0.8954)
H (0.5322, 0.2643, 0.3954)
H (0.5887, 0.5913, 0.6454)
H (0.5887, 0.9087, 0.1454)
H (0.5926, 0.0904, 0.2159)
H (0.5926, 0.4096, 0.7159)
H (0.6161, 0.0089, 0.7403)
H (0.6161, 0.4911, 0.2403)
H (0.8934, 0.0700, 0.2779)
H (0.8934, 0.4300, 0.7779)
H (0.8944, 0.5778, 0.6889)
H (0.8944, 0.9222, 0.1889)
H (0.9460, 0.6754, 0.1160)
H (0.9460, 0.8246, 0.6160)
H (0.9483, 0.6813, 0.8284)
H (0.9483, 0.8187, 0.3284)
H (0.9486, 0.1774, 0.8667)
H (0.9486, 0.3226, 0.3667)
H (0.9625, 0.1716, 0.1587)
H (0.9625, 0.3284, 0.6587)
Pb (0.1344, 0.0091, 0.0061)
Pb (0.1344, 0.4909, 0.5061)
Pb (0.1371, 0.0009, 0.5423)
Pb (0.1371, 0.4991, 0.0423)
Pb (0.2458, 0.7475, 0.9071)
Pb (0.2458, 0.7525, 0.4071)
Pb (0.2651, 0.2324, 0.4337)
Pb (0.2651, 0.2676, 0.9337)
Pb (0.2708, 0.7217, 0.6545)
Pb (0.2708, 0.7783, 0.1545)
Pb (0.2803, 0.2231, 0.1801)
Pb (0.2803, 0.2769, 0.6801)
Pb (0.3916, 0.5224, 0.0820)
Pb (0.3916, 0.9776, 0.5820)
Pb (0.4000, 0.5055, 0.5651)
Pb (0.4000, 0.9945, 0.0651)
Pb (0.6000, 0.0055, 0.9349)
Pb (0.6000, 0.4945, 0.4349)
Pb (0.6084, 0.0224, 0.4180)
Pb (0.6084, 0.4776, 0.9180)
Pb (0.7197, 0.7231, 0.3199)
Pb (0.7197, 0.7769, 0.8199)
Pb (0.7292, 0.2217, 0.8455)
Pb (0.7292, 0.2783, 0.3455)
Pb (0.7349, 0.7324, 0.0663)
Pb (0.7349, 0.7676, 0.5663)
Pb (0.7542, 0.2475, 0.5929)
Pb (0.7542, 0.2525, 0.0929)
Pb (0.8629, 0.5009, 0.9577)
Pb (0.8629, 0.9991, 0.4577)
Pb (0.8656, 0.5091, 0.4939)
Pb (0.8656, 0.9909, 0.9939)
S (0.0812, 0.5032, 0.7647)
S (0.0812, 0.9968, 0.2647)
S (0.4881, 0.7179, 0.9149)
S (0.4881, 0.7821, 0.4149)
S (0.5119, 0.2179, 0.5851)
S (0.5119, 0.2821, 0.0851)
S (0.9188, 0.0032, 0.7353)
S (0.9188, 0.4968, 0.2353)
O (0.0174, 0.0974, 0.2772)
O (0.0174, 0.4026, 0.7772)
O (0.0177, 0.6051, 0.7353)
O (0.0177, 0.8949, 0.2353)
O (0.0743, 0.6872, 0.4035)
O (0.0743, 0.8128, 0.9035)
O (0.0825, 0.6979, 0.5802)
O (0.0825, 0.8021, 0.0802)
O (0.0882, 0.1996, 0.4457)
O (0.0882, 0.3004, 0.9457)
O (0.0892, 0.1963, 0.6223)
O (0.0892, 0.3037, 0.1223)
O (0.1379, 0.0246, 0.1923)
O (0.1379, 0.4754, 0.6923)
O (0.1449, 0.5287, 0.8538)
O (0.1449, 0.9713, 0.3538)
O (0.1694, 0.0708, 0.8512)
O (0.1694, 0.4292, 0.3512)
O (0.1712, 0.5648, 0.2050)
O (0.1712, 0.9352, 0.7050)
O (0.2588, 0.6086, 0.5190)
O (0.2588, 0.8914, 0.0190)
O (0.2624, 0.1392, 0.0453)
O (0.2624, 0.3608, 0.5453)
O (0.2615, 0.6436, 0.0375)
O (0.2615, 0.8564, 0.5375)
O (0.2710, 0.1048, 0.5635)
O (0.2710, 0.3952, 0.0635)
O (0.3516, 0.0307, 0.2044)
O (0.3516, 0.4693, 0.7044)
O (0.3527, 0.0772, 0.8794)
O (0.3527, 0.4228, 0.3794)
O (0.3574, 0.5590, 0.2359)
O (0.3574, 0.9410, 0.7359)
O (0.4176, 0.6216, 0.8971)
O (0.4176, 0.8784, 0.3971)
O (0.4334, 0.6726, 0.4117)
O (0.4334, 0.8274, 0.9117)
O (0.4337, 0.6859, 0.6421)
O (0.4337, 0.8141, 0.1421)
O (0.4488, 0.2184, 0.6556)
O (0.4488, 0.2816, 0.1556)
O (0.4524, 0.2012, 0.4906)
O (0.4524, 0.2988, 0.9906)
O (0.5476, 0.7012, 0.0094)
O (0.5476, 0.7988, 0.5094)
O (0.5512, 0.7184, 0.8444)
O (0.5512, 0.7816, 0.3444)
O (0.5663, 0.1859, 0.8579)
O (0.5663, 0.3141, 0.3579)
O (0.5666, 0.1726, 0.0883)